== Input ==
-- begin --
Diffraction record for Ag2Hg3I8. The powder XRD pattern is theoretical, not measured: it uses the GGA-PBE geometry in Alexandria and CuKα.
Intensities are scaled so that the largest is 1000.

Structure:
```
26
Lattice="8.0358 -4.0265 0.0000 8.0358 4.0265 0.0000 -1.6649 0.0000 19.4405" Properties=species:S:1:pos:R:3 pbc="T T T"
Ag 3.3707 1.3045 6.3440
Ag 2.5383 -1.3045 16.0643
Ag 11.8684 1.3045 3.3762
Ag 11.0359 -1.3045 13.0964
Hg 3.2244 1.0468 1.4367
Hg 6.7871 2.5205 14.5803
Hg 2.3919 -1.0468 11.1569
Hg 12.0147 1.0468 8.2835
Hg 7.6195 -2.5205 4.8601
Hg 11.1822 -1.0468 18.0038
I 5.2016 2.5978 8.0232
I 5.7524 2.6431 12.1372
I 3.5438 1.3428 15.5872
I 5.9594 1.2981 0.6592
I 7.8218 2.6431 17.0234
I 10.0375 2.5978 1.6970
I 9.2797 1.2981 9.0610
I 4.3762 -1.3428 5.8670
I 10.0304 1.3428 13.5735
I 5.1270 -1.2981 10.3794
I 4.3692 -2.5978 17.7434
I 6.5849 -2.6431 2.4170
I 8.4472 -1.2981 18.7813
I 10.8628 -1.3428 3.8533
I 8.6542 -2.6431 7.3032
I 9.2050 -2.5978 11.4172
```

The 10 most intense peaks (2θ from 5° to 70°), by angle:
11.05°, d = 8.006 Å, I 643
13.28°, d = 6.665 Å, I 928
18.07°, d = 4.909 Å, I 586
22.08°, d = 4.027 Å, I 420
22.49°, d = 3.954 Å, I 1000
23.30°, d = 3.818 Å, I 936
36.54°, d = 2.459 Å, I 359
38.98°, d = 2.311 Å, I 566
39.67°, d = 2.272 Å, I 398
44.55°, d = 2.034 Å, I 425
-- stop --

== Brief ==
Write out only the last part of the data further above, starting with the line that has "12.0147 1.0468".

== Outcome ==
Hg 12.0147 1.0468 8.2835
Hg 7.6195 -2.5205 4.8601
Hg 11.1822 -1.0468 18.0038
I 5.2016 2.5978 8.0232
I 5.7524 2.6431 12.1372
I 3.5438 1.3428 15.5872
I 5.9594 1.2981 0.6592
I 7.8218 2.6431 17.0234
I 10.0375 2.5978 1.6970
I 9.2797 1.2981 9.0610
I 4.3762 -1.3428 5.8670
I 10.0304 1.3428 13.5735
I 5.1270 -1.2981 10.3794
I 4.3692 -2.5978 17.7434
I 6.5849 -2.6431 2.4170
I 8.4472 -1.2981 18.7813
I 10.8628 -1.3428 3.8533
I 8.6542 -2.6431 7.3032
I 9.2050 -2.5978 11.4172
```

The 10 most intense peaks (2θ from 5° to 70°), by angle:
11.05°, d = 8.006 Å, I 643
13.28°, d = 6.665 Å, I 928
18.07°, d = 4.909 Å, I 586
22.08°, d = 4.027 Å, I 420
22.49°, d = 3.954 Å, I 1000
23.30°, d = 3.818 Å, I 936
36.54°, d = 2.459 Å, I 359
38.98°, d = 2.311 Å, I 566
39.67°, d = 2.272 Å, I 398
44.55°, d = 2.034 Å, I 425